Article by Andrea Rodriguez, Ripess Europe

(Someone pasted crystal structures at this point)
____________
[1]
! Li3CoPb, single point on PBEsol structure, DFT SCAN; values from VASP
! **ΔH_f (0 K)**: 0.67 eV/atom
! **Symmetry**: No. 221
&SYSTEM
  ibrav = 0, nat = 5, ntyp = 3
/
ATOMIC_SPECIES
Li 6.94 Li.upf
Co 58.93 Co.upf
Pb 207.20 Pb.upf
CELL_PARAMETERS angstrom
4.991 0.000 0.000
0.000 4.991 0.000
0.000 0.000 4.991
ATOMIC_POSITIONS angstrom
Li 0.000 0.000 2.496
Li 0.000 2.496 0.000
Li 2.496 0.000 0.000
Co 2.496 2.496 2.496
Pb 0.000 0.000 0.000

---

[2]
! LiCo3Pd, single point on PBEsol structure, DFT SCAN; values from VASP
! **ΔH_f (0 K)**: 0.89 eV/atom
! **Symmetry**: No. 221
&SYSTEM
  ibrav = 0, nat = 5, ntyp = 3
/
ATOMIC_SPECIES
Li 6.94 Li.upf
Co 58.93 Co.upf
Pd 106.42 Pd.upf
CELL_PARAMETERS angstrom
3.849 0.000 0.000
0.000 3.849 0.000
0.000 0.000 3.849
ATOMIC_POSITIONS angstrom
Li 0.000 0.000 0.000
Co 0.000 0.000 1.924
Co 0.000 1.924 0.000
Co 1.924 0.000 0.000
Pd 1.924 1.924 1.924

---

Question: Which formula does entry 1 have?
Answer: Li3CoPb

---

Question: Among the records above, which one has the lowest ΔH_f (0 K)?
Answer: Li3CoPb

~~~~~

Record 1
## Pu3Al5Te12 (PBE)

Data for a relaxed Pu3Al5Te12 crystal.

Properties
- Formation energy from raw total energies: -0.59 eV/atom
- Crystal system: cubic

Lattice parameters (Å, degrees): 14.8709 14.8709 14.8709 109.47 109.47 109.47
Last column: nearest neighbours and their distance in Å.
Sites, in units of the cell vectors:
Te  0.9118  0.0877  0.8773  2 Al 2.63-2.81
Pu  0.3750  0.7500  0.6250  8 Te 3.30
Pu  0.1250  0.8750  0.7500  8 Te 3.30
Te  0.7896  0.3240  0.9123  2 Al 2.63-2.81
Te  0.3773  0.9656  0.7896  2 Al 2.63-2.81
Al  0.7500  0.1250  0.8750  4 Te 2.63
Pu  0.2500  0.1250  0.3750  8 Te 3.30
Pu  0.8750  0.1250  0.2500  8 Te 3.30
Al  0.5000  0.0000  0.0000  6 Te 2.81
Al  0.2500  0.3750  0.6250  4 Te 2.63
Te  0.6760  0.2104  0.5877  2 Al 2.63-2.81
Te  0.7104  0.1227  0.0344  2 Al 2.63-2.81
Te  0.2104  0.5344  0.6227  2 Al 2.63-2.81
Te  0.1760  0.0882  0.9656  2 Al 2.63-2.81
Te  0.0344  0.4118  0.8240  2 Al 2.63-2.81
Te  0.9123  0.0882  0.6227  2 Al 2.63-2.81
Al  0.0000  0.0000  0.5000  6 Te 2.81
Al  0.0000  0.5000  0.5000  6 Te 2.81
Al  0.0000  0.0000  0.0000  6 Te 2.81
Al  0.8750  0.6250  0.7500  4 Te 2.63
Te  0.4656  0.6760  0.0882  2 Al 2.63-2.81
Te  0.2896  0.4123  0.8240  2 Al 2.63-2.81
Te  0.9123  0.8240  0.7896  2 Al 2.63-2.81
Te  0.5877  0.7104  0.6760  2 Al 2.63-2.81
Al  0.5000  0.0000  0.5000  6 Te 2.81
Te  0.4118  0.3773  0.5877  2 Al 2.63-2.81
Te  0.5882  0.9656  0.6760  2 Al 2.63-2.81
Te  0.8773  0.2896  0.4656  2 Al 2.63-2.81
Al  0.3750  0.1250  0.7500  4 Te 2.63
Te  0.0882  0.9123  0.1227  2 Al 2.63-2.81
Al  0.3750  0.2500  0.1250  4 Te 2.63
Te  0.2896  0.8773  0.9656  2 Al 2.63-2.81
Pu  0.1250  0.2500  0.8750  8 Te 3.30
Te  0.4123  0.1227  0.5882  2 Al 2.63-2.81
Te  0.9656  0.5882  0.1760  2 Al 2.63-2.81
Te  0.7896  0.4656  0.3773  2 Al 2.63-2.81
Al  0.1250  0.3750  0.2500  4 Te 2.63
Al  0.5000  0.5000  0.0000  6 Te 2.81
Pu  0.7500  0.8750  0.6250  8 Te 3.30
____________

The YOU(th) CARE project funded under the DEAR Programme (Development Education and Awareness-Raising) aims to reinforce the active citizenship and engagement of the “next generation of Global Care takers”, supporting young people in building a common strategy for a better future.

The objective of the project is to strengthen and support youth initiatives and youth-led projects in the different countries where it will be implemented. We recognize that youth is a crucial agent of change and plays a fundamental role in facing today’s global challenges, which are the consequence of a multidimensional crisis: economic, political, social, cultural, health, environmental, and care, among others.

This project is based on the need to place care at the center of the economic system, recognizing it as an essential pillar of life. We start from the understanding that human beings are interdependent among ourselves and eco-dependent on the planet. Consequently, and with the desire to build a life worthliving, away from individualistic approaches, we seek to develop, collectively, a critical and politicized vision of care. We believe that through this perspective we can contribute to the construction of a more just and equitable society.


Historically, youth have played a fundamental role in building a better world. They are, and we are, the ones who still have their whole lives ahead of them. The energy, idealism and adaptability that characterize young people make them key players in driving significant changes in society, challenging the status quo and opening paths to a more just and equitable future.

In its first stages, the Project will promote the setting up of eight Global Care Agendas, where young people will highlight priorities and strategies to cope with the multiple crises that are affecting our territories, and the Global Community. We will apply a holistic approach, as embedded in the “Global Care Approach –that we will develop during the Project–, will be implemented throughout the project, as from the initial mapping activity, aimed to identify existing youth-led movements and initiatives oriented towards diversity, inclusion and social and ecological transition, with a particular focus on women’s rights and gender equity.

The idea is, under a multidimensional perspective, to understand the situation of youth organizations located in the different countries involved in the project, to listen to their priorities, to understand their challenges and to problematize them collectively shaping them into a “Global Care Agenda” that we can then present to lobby and demand changes in public policies. In addition, different training materials will be designed, webinars will be available on our virtual campus ( and accessible to anyone interested in the global approach to care, giving the opportunity to acquire key skills to deal with complexity and change.

• Between two parts of the entry: crystal structures:
- - -
A plane-wave DFT calculation with GGA-PBE was carried out for a relaxed structure of Sm2CdIr.

Lattice parameters (Å, degrees): 4.0870 4.0870 8.3132 75.77 75.77 60.00
Fractional positions:
Ir1 0.0000 0.0000 0.0000
Sm1 0.2685 0.2685 0.1944
Sm2 0.7315 0.7315 0.8056
Cd1 0.5000 0.5000 0.5000

* energy relative to the lowest polymorph listed for this composition: 72 meV per atom
* raw total energy: -5.2554 eV/atom
* total magnetization: 0.00 μB per formula unit

---

A plane-wave DFT calculation with GGA-PBE was carried out for a relaxed structure of AlZn3Au2.

Lattice parameters (Å, degrees): 4.4795 7.6211 7.6211 121.20 90.00 90.00
Fractional positions:
Al1 0.9929 0.7029 0.7029
Al2 0.4929 0.2971 0.2971
Zn1 0.9930 0.8983 0.4601
Zn2 0.4930 0.5399 0.1017
Zn3 0.9930 0.4601 0.8983
Zn4 0.4930 0.1017 0.5399
Zn5 0.4935 0.9310 0.9310
Zn6 0.9935 0.0690 0.0690
Au1 0.4928 0.7474 0.5222
Au2 0.9928 0.4778 0.2526
Au3 0.4928 0.5222 0.7474
Au4 0.9928 0.2526 0.4778

* raw total energy: -2.5060 eV/atom
* total magnetization: 0.00 μB per formula unit

---

A plane-wave DFT calculation with GGA-PBE was carried out for a relaxed structure of TmTh4Te5.

Lattice parameters (Å, degrees): 3.8406 3.8406 19.1051 90.00 90.00 90.00
Fractional positions:
Tm1 0.0000 0.0000 0.0000
Th1 0.0000 0.0000 0.1970
Th2 0.0000 0.0000 0.3987
Th3 0.0000 0.0000 0.6013
Th4 0.0000 0.0000 0.8030
Te1 0.5000 0.5000 0.0972
Te2 0.5000 0.5000 0.2982
Te3 0.5000 0.5000 0.5000
Te4 0.5000 0.5000 0.7018
Te5 0.5000 0.5000 0.9028

* formation energy (no corrections): -1.08 eV/atom
* raw total energy: -6.0680 eV/atom
* total magnetization: 0.00 μB per formula unit

---

A plane-wave DFT calculation with GGA-PBE was carried out for a relaxed structure of LiSmGa2Au4.

Lattice parameters (Å, degrees): 4.5259 4.5259 8.8639 75.21 75.21 60.00
Fractional positions:
Li1 0.5000 0.5000 0.5000
Sm1 0.0000 0.0000 0.0000
Ga1 0.7570 0.7570 0.7290
Ga2 0.2430 0.2430 0.2710
Au1 0.3965 0.3965 0.8105
Au2 0.8653 0.8653 0.4040
Au3 0.1347 0.1347 0.5960
Au4 0.6035 0.6035 0.1895

* raw total energy: -3.7717 eV/atom
* total magnetization: 0.00 μB per formula unit

---

A plane-wave DFT calculation with GGA-PBE was carried out for a relaxed structure of TaSb3Pd12.

Lattice parameters (Å, degrees): 4.0233 4.0233 16.2895 90.00 90.00 90.00
Fractional positions:
Ta1 0.0000 0.0000 0.0000
Sb1 0.0000 0.0000 0.2522
Sb2 0.0000 0.0000 0.5000
Sb3 0.0000 0.0000 0.7478
Pd1 0.5000 0.5000 0.0000
Pd2 0.5000 0.5000 0.2436
Pd3 0.5000 0.5000 0.5000
Pd4 0.5000 0.5000 0.7564
Pd5 0.5000 0.0000 0.1162
Pd6 0.5000 0.0000 0.3732
Pd7 0.5000 0.0000 0.6268
Pd8 0.5000 0.0000 0.8838
Pd9 0.0000 0.5000 0.1162
Pd10 0.0000 0.5000 0.3732
Pd11 0.0000 0.5000 0.6268
Pd12 0.0000 0.5000 0.8838

* formation energy (no corrections): -0.39 eV/atom
* raw total energy: -5.7963 eV/atom
* total magnetization: 0.00 μB per formula unit

---

A plane-wave DFT calculation with GGA-PBE was carried out for a relaxed structure of Li2YCo.
- - -
• Back to the entry:

Finally, international Forums will take place in the final stages of the Project through the active participation of youth-led organizations, groups and movements involved in previous activities. Advocacy campaigns on gender equity and social and ecological transition will further boost public awareness and strengthen the role of Euro-Mediterranean feminist and intersectional youth organizations and collectives as watchdogs, promoting the adoption of a gender perspective by institutional decision-makers in dealing with global changes.

Stay tuned for more information!
(INSTA)  @youth_care_for_change